== Input ==
'''
VASP calculation (GGA-PBEsol) on a relaxed structure of Rb2MnIn.

POSCAR file:
```
Rb2MnIn
1.0
-4.593 1.016 3.786
-3.034 -4.646 2.381
0.582 -1.296 5.869
Rb In Mn
2 1 1
Cartesian
-5.284 -3.695 9.027 Rb
-1.761 -1.232 3.009 Rb
-3.523 -2.463 6.018 In
0.000 0.000 0.000 Mn
```
'''
== To do ==
Could you return all of the entries earlier on verbatim?
== Done ==
VASP calculation (GGA-PBEsol) on a relaxed structure of Rb2MnIn.

POSCAR file:
```
Rb2MnIn
1.0
-4.593 1.016 3.786
-3.034 -4.646 2.381
0.582 -1.296 5.869
Rb In Mn
2 1 1
Cartesian
-5.284 -3.695 9.027 Rb
-1.761 -1.232 3.009 Rb
-3.523 -2.463 6.018 In
0.000 0.000 0.000 Mn
```